Tuesday, July 23, 2002

While Dick Armey deserves kudos for (apparently) trying to kill TIPS, the administration is still strongly behind it (and shame on those who try and pretend otherwise):

WASHINGTON - The Justice Department is forging ahead with establishing a network of domestic tipsters - despite being dealt what may be a deathly blow to the plan: House Majority Leader Dick Armey, R-Texas, inserted last week a ban on the program in the bill to form a new Homeland Security Department.

"The administration is continuing to pursue Operation TIPS. We're continuing with that course of action," Barbara Comstock, spokeswoman for Attorney General John Ashcroft, said in an interview Friday. That was the same day Armey's committee approved the bill. "We believe the program represents an important resource and that it's been misrepresented to date."

Operation TIPS, short for Terrorism Information and Prevention System, is one part of President George W. Bush's volunteerism initiatives. It aims to recruit millions of American workers to be alert to "suspicious" activities they encounter in their workday routines - and report them to a toll-free, federal hot line. The government is looking for "truck drivers, bus drivers, train conductors, mail carriers, utility meter readers, ship captains and port personnel," according to the program's Web site. Armey's impetus for banning Operation TIPS? "To ensure that no operation of the department can be construed to promote citizens spying on on another," he wrote in his summary of the bill. The Republican leader's opposition was the politically weightiest in a weeklong series of statements against the program, set for launch in August.

The American Civil Liberties Union declared last Monday that the program could turn utility workers into "government-sanctioned peeping Toms." Then on Wednesday the Rutherford Institute, a conservative think tank that promotes privacy and religious rights, weighed in.

........
--- i ---
# AcDyY2 | the Alexandria database | PBE-GGA | optimized geometry
# Fermi-level density of states: 26.49 states/eV per cell
data_AcDyY2
_chemical_formula_sum 'Ac4 Dy4 Y8'
_cell_length_a 8.2646
_cell_length_b 8.2646
_cell_length_c 8.2646
_cell_angle_alpha 90.00
_cell_angle_beta 90.00
_cell_angle_gamma 90.00
_symmetry_space_group_name_H-M 'F m -3 m'
_symmetry_Int_Tables_number 225
_symmetry_space_group_name_Hall '-F 4 2 3'
loop_
_atom_site_label
_atom_site_fract_x
_atom_site_fract_y
_atom_site_fract_z
Ac1 0.0000 0.0000 0.0000
Dy1 0.0000 0.0000 0.5000
Y1 0.2500 0.2500 0.2500

---

--- ii ---
# AcDyY2 | the Alexandria database | PBE-GGA | optimized geometry
# Fermi-level density of states: 7.39 states/eV per cell
data_AcDyY2
_chemical_formula_sum 'Ac1 Dy1 Y2'
_cell_length_a 4.1615
_cell_length_b 4.1615
_cell_length_c 8.1907
_cell_angle_alpha 90.00
_cell_angle_beta 90.00
_cell_angle_gamma 90.00
_symmetry_space_group_name_H-M 'P 4/m m m'
_symmetry_Int_Tables_number 123
_symmetry_space_group_name_Hall '-P 4 2'
loop_
_atom_site_label
_atom_site_fract_x
_atom_site_fract_y
_atom_site_fract_z
Ac1 0.0000 0.0000 0.0000
Dy1 0.0000 0.0000 0.5000
Y1 0.5000 0.5000 0.2744

---

--- iii ---
# AcDyY2 | the Alexandria database | PBE-GGA | optimized geometry
# Fermi-level density of states: 7.09 states/eV per cell
data_AcDyY2
_chemical_formula_sum 'Ac1 Dy1 Y2'
_cell_length_a 5.1978
_cell_length_b 5.1978
_cell_length_c 5.1695
_cell_angle_alpha 90.00
_cell_angle_beta 90.00
_cell_angle_gamma 90.00
_symmetry_space_group_name_H-M 'P 4/m m m'
_symmetry_Int_Tables_number 123
_symmetry_space_group_name_Hall '-P 4 2'
loop_
_atom_site_label
_atom_site_fract_x
_atom_site_fract_y
_atom_site_fract_z
Ac1 0.0000 0.0000 0.0000
Dy1 0.5000 0.5000 0.0000
Y1 0.0000 0.5000 0.5000

---

--- iv ---
# AcDyY2 | the Alexandria database | PBE-GGA | optimized geometry
# Fermi-level density of states: 13.16 states/eV per cell
data_AcDyY2
_chemical_formula_sum 'Ac2 Dy2 Y4'
_cell_length_a 3.7716
_cell_length_b 11.6988
_cell_length_c 6.3697
_cell_angle_alpha 90.00
_cell_angle_beta 90.00
_cell_angle_gamma 90.00
_symmetry_space_group_name_H-M 'I m m 2'
_symmetry_Int_Tables_number 44
loop_
_symmetry_equiv_pos_as_xyz
'x,y,z'
'-x,-y,z'
'-x,y,z'
'x,-y,z'
'x+1/2,y+1/2,z+1/2'
'-x+1/2,-y+1/2,z+1/2'
'-x+1/2,y+1/2,z+1/2'
'x+1/2,-y+1/2,z+1/2'
loop_
_atom_site_label
_atom_site_fract_x
_atom_site_fract_y
_atom_site_fract_z
Ac1 0.0000 0.0000 0.0000
Dy1 0.0000 0.5000 0.0092
Y1 0.0000 0.2442 0.3498

---

Computed relative energies in units of eV/atom: i 0.070; ii 0.053; iii 0.010; iv 0.000

---

--- i ---
# AcDy3Y7 | the Alexandria database | PBE-GGA | optimized geometry
# Fermi-level density of states: 18.09 states/eV per cell
data_AcDy3Y7
_chemical_formula_sum 'Ac1 Dy3 Y7'
_cell_length_a 7.0036
_cell_length_b 5.6280
_cell_length_c 9.9580
_cell_angle_alpha 90.00
_cell_angle_beta 108.11
_cell_angle_gamma 90.00
_symmetry_space_group_name_H-M 'P 1 2/m 1'
_symmetry_Int_Tables_number 10
loop_
........

"What this means for the average citizen is that whatever you read, eat or do -- in the privacy of your home or out in public - will now be suspect in the eyes of your cable repairman, postal carrier, meter man or others who, by way of the services they provide, will have access to your home," said John W. Whitehead, founder and president of the Virginia-based institute.

It isn't a coincidence that they desire what amounts to government infiltration of the nation's vital "infrastructure industries" - utilities and transportation.